• Material:
┌──
No. 1
The following is a DFT calculation (GGA-PBE) of NaCeCo after structural relaxation.

```
NaCeCo
1.0
-1.909 -0.647 -3.052
2.625 -2.264 -1.165
-4.671 -11.780 1.124
Co Na Ce
2 2 2
direct
0.755 0.755 0.520 Co
0.995 0.995 0.787 Co
0.752 0.752 0.031 Na
0.006 0.006 0.276 Na
0.512 0.512 0.770 Ce
0.239 0.239 0.537 Ce
```

Values from the calculation:
size of the total moment: 0.000 μB/atom
calculated total energy: -28.7 eV per cell

No. 2
The following is a DFT calculation (GGA-PBE) of CaCdMo2 after structural relaxation.

```
CaCdMo2
1.0
2.968 0.004 0.000
-1.071 2.768 0.000
0.000 0.000 9.799
Ca Mo Cd
1 2 1
direct
0.000 0.000 0.485 Ca
0.500 0.500 0.219 Mo
0.000 0.000 0.024 Mo
0.500 0.500 0.771 Cd
```

Values from the calculation:
size of the total moment: 0.000 μB/atom
calculated total energy: -22.9 eV per cell

No. 3
The following is a DFT calculation (GGA-PBE) of Sm8RhSe4S3 after structural relaxation.

```
Sm8RhSe4S3
1.0
-3.246 -7.535 -0.285
1.127 -0.794 8.154
-4.224 6.403 -2.925
Rh S Sm Se
1 3 8 4
direct
0.000 0.500 0.000 Rh
0.000 0.500 0.500 S
0.500 0.500 0.000 S
0.500 0.500 0.500 S
0.758 0.269 0.517 Sm
0.242 0.731 0.990 Sm
0.743 0.730 0.487 Sm
0.748 0.731 0.990 Sm
0.257 0.270 0.513 Sm
0.242 0.731 0.483 Sm
0.758 0.269 0.010 Sm
0.252 0.269 0.010 Sm
0.000 0.000 0.000 Se
0.500 0.000 0.500 Se
0.500 0.000 0.000 Se
0.000 0.000 0.500 Se
```

Values from the calculation:
formation energy without anion corrections: -1.764 eV/atom
size of the total moment: 0.000 μB/atom
calculated total energy: -99.6 eV per cell

No. 4
The following is a DFT calculation (GGA-PBE) of KCuIr2 after structural relaxation.

```
KCuIr2
1.0
5.595 0.043 0.000
-2.805 4.842 0.000
0.000 0.000 2.537
Ir K Cu
2 1 1
direct
0.500 0.500 0.000 Ir
0.000 0.000 0.000 Ir
0.500 0.000 0.500 K
0.000 0.500 0.500 Cu
```

Values from the calculation:
size of the total moment: 0.000 μB/atom
calculated total energy: -19.3 eV per cell
distance to the lowest polymorph of the same formula: 472 meV per atom

No. 5
The following is a DFT calculation (GGA-PBE) of Ac2LaAg after structural relaxation.

```
Ac2LaAg
1.0
3.949 0.000 0.000
0.000 3.949 0.000
0.000 0.000 9.337
La Ac Ag
1 2 1
direct
0.500 0.500 0.500 La
0.000 0.000 0.212 Ac
0.000 0.000 0.788 Ac
0.500 0.500 0.000 Ag
```

Values from the calculation:
size of the total moment: 0.000 μB/atom
calculated total energy: -16.4 eV per cell
distance to the lowest polymorph of the same formula: 0 meV per atom

No. 6
The following is a DFT calculation (GGA-PBE) of Pm3ErZn after structural relaxation.

```
Pm3ErZn
1.0
7.454 -0.018 -0.231
-2.057 7.164 0.231
-3.177 -3.212 6.013
Pm Zn Er
6 2 2
direct
0.730 0.447 0.176 Pm
0.221 0.414 0.251 Pm
0.163 0.970 0.749 Pm
0.779 0.586 0.749 Pm
0.837 0.030 0.251 Pm
0.270 0.553 0.824 Pm
0.628 0.759 0.387 Zn
0.372 0.241 0.613 Zn
0.700 0.065 0.765 Er
0.300 0.935 0.235 Er
```

Values from the calculation:
size of the total moment: 0.000 μB/atom
calculated total energy: -39.6 eV per cell

No. 7
The following is a DFT calculation (GGA-PBE) of TeIr2Se after structural relaxation.

```
TeIr2Se
1.0
3.137 0.000 0.000
0.000 3.422 0.000
0.000 0.000 6.576
Ir Te Se
2 1 1
direct
0.000 0.000 0.472 Ir
0.000 0.000 0.028 Ir
0.500 0.500 0.750 Te
0.500 0.500 0.250 Se
```

Values from the calculation:
formation energy without anion corrections: 0.534 eV/atom
size of the total moment: 0.000 μB/atom
calculated total energy: -22.2 eV per cell
distance to the lowest polymorph of the same formula: 513 meV per atom

No. 8
The following is a DFT calculation (GGA-PBE) of NaPmSmGe after structural relaxation.

```
NaPmSmGe
1.0
5.257 0.000 0.000
2.629 4.553 0.000
2.629 1.518 4.292
Sm Pm Ge Na
1 1 1 1
direct
0.750 0.750 0.750 Sm
0.250 0.250 0.250 Pm
0.000 0.000 0.000 Ge
0.500 0.500 0.500 Na
```

Values from the calculation:
size of the total moment: 0.001 μB/atom
calculated total energy: -16.4 eV per cell

No. 9
The following is a DFT calculation (GGA-PBE) of PuInCu2O8 after structural relaxation.

```
PuInCu2O8
1.0
-1.761 3.100 -4.592
└──
• Brief:
Your job: filter the listing earlier on: keep the lines with the word "Pm".
• Completed:
Pm Zn Er
0.730 0.447 0.176 Pm
0.221 0.414 0.251 Pm
0.163 0.970 0.749 Pm
0.779 0.586 0.749 Pm
0.837 0.030 0.251 Pm
0.270 0.553 0.824 Pm
Sm Pm Ge Na
0.250 0.250 0.250 Pm